Now repeat the part of the block below that starts with the line with "-0.83 -0.198" and stops after the one with "-0.91 0.257".

Entry 1
9
Properties=species:S:1:pos:R:3:nbo_charge:R:1 method="wB97M-V/def2-TZVPD" smiles=Nc1nnco1 gap_ev=10.303 total_charge=0 homo_ev=-9.9 molar_mass_da=85.1 e_lumo_ev=0.35
N -2.01 -0.10 -0.25 -0.719
C -0.66 0.02 0.18 0.541
N 0.06 1.06 0.05 -0.342
N 1.37 0.77 -0.09 -0.258
C 1.46 -0.52 0.06 0.256
O 0.18 -1.03 0.02 -0.432
H -2.16 -0.72 0.46 0.353
H -2.29 0.92 0.34 0.384
H 2.33 -1.09 -0.32 0.217



Entry 2
9
Properties=species:S:1:pos:R:3:nbo_charge:R:1 method="wB97M-V/def2-TZVPD" gap_ev=8.857 total_charge=0 homo_ev=-8.3 molar_mass_da=85.1 e_lumo_ev=0.55
N -1.42 1.04 -0.52 -0.895
C -0.21 0.57 -0.45 0.468
N 1.01 0.60 -0.99 -0.270
O 1.75 -0.34 -0.16 -0.279
C 0.97 -0.83 0.75 0.458
N -0.23 -0.32 0.64 -0.583
H -1.26 -0.13 0.83 0.511
H -1.66 1.70 -1.24 0.369
H 1.37 -1.55 1.46 0.221



Entry 3
9
Properties=species:S:1:pos:R:3:nbo_charge:R:1 method="wB97M-V/def2-TZVPD" smiles=Cc1nnon1 gap_ev=11.310 total_charge=0 homo_ev=-11.4 molar_mass_da=85.1 e_lumo_ev=-0.10
C 1.24 -1.04 -1.14 -0.669
C 0.50 -0.29 -0.21 0.230
N -0.76 0.14 -0.83 -0.198
N -1.38 0.74 0.11 0.161
O -0.59 0.62 1.36 -0.210
N 0.68 0.10 0.94 -0.087
H 1.11 -2.13 -0.91 0.257
H 2.54 -0.99 -1.10 0.249
H 0.88 -0.74 -2.31 0.266



Entry 4
9
Properties=species:S:1:pos:R:3:nbo_charge:R:1 method="wB97M-V/def2-TZVPD" smiles=Nc1cnon1 gap_ev=10.609 total_charge=0 homo_ev=-9.8 molar_mass_da=85.1 e_lumo_ev=0.85
N -1.55 -0.16 0.07 -0.802
C -0.17 -0.15 0.03 0.259
C 0.76 0.92 -0.17 -0.121
N 1.96 0.44 -0.11 -0.059
O 1.83 -0.87 0.16 -0.137
N 0.53 -1.23 0.24 -0.151
H -1.91 -1.11 0.17 0.394
H -2.00 0.31 -0.71 0.386
H 0.68 2.00 -0.21 0.232



It comes down to entry 4, which is 0.539 eV more stable than the next structure.

* * * * *

--- 1 ---
ORCA calculation (ωB97M-V/def2-TZVPD) on 3 unconnected molecules or ions with the total composition C3H13NO3.

Values from the calculation:
* HOMO-LUMO gap: 0.36586 Ha
* E_HOMO: -9.25 eV
* LUMO energy: 0.704 eV

ORCA input file:
```
! wB97M-V def2-TZVPD RIJCOSX def2/J DEFGRID3
* xyz 0 1
C 0.09519 -0.00333 -1.72750
C 1.09099 -1.03566 -1.19201
N 1.70145 -0.66780 0.06589
C 1.07906 0.01538 1.15376
O 1.24174 1.45312 1.09413
H -0.41354 -0.43726 -2.58315
H 0.57502 0.92520 -2.04833
H -0.62745 0.26028 -0.95083
H 0.49945 -1.95188 -1.08580
H 1.87200 -1.19637 -1.92855
H 2.50059 -1.20906 0.32446
H 1.58502 -0.32502 2.04051
H 0.02352 -0.21283 1.23000
H 1.70687 1.56168 0.25431
O -1.41808 2.35794 0.14956
H -1.68127 2.99575 0.83080
H -0.45370 2.25877 0.27768
O -3.17815 -1.71988 1.73561
H -2.37485 -1.76763 1.20106
H -3.82384 -1.30141 1.15840
*
```



--- 2 ---
ORCA calculation (ωB97M-V/def2-TZVPD) on 4 unconnected molecules or ions with the total composition C3H13NO3.

Values from the calculation:
* HOMO-LUMO gap: 0.33833 Ha
* E_HOMO: -8.44 eV
* LUMO energy: 0.768 eV

ORCA input file:
```
! wB97M-V def2-TZVPD RIJCOSX def2/J DEFGRID3
* xyz 0 1
C -0.90218 -0.09116 -1.37478
C -1.83606 0.85091 -1.23918
C -1.53074 2.28722 -1.65402
N -3.09323 0.60958 -0.69978
H -0.96284 -1.13496 -1.08105
H 0.09923 0.02255 -1.75891
H -2.35577 2.74902 -2.19249
H -0.61410 2.23187 -2.23073
H -1.37623 2.86387 -0.74150
H -3.81987 1.19949 -1.06522
H -3.37107 -0.36068 -0.82590
O 2.36371 0.01917 0.01314
H 2.12880 0.25417 -0.89441
H 1.58536 -0.18860 0.55715
O 2.24665 -1.68193 6.96034
H 1.95062 -0.75424 6.97518
H 1.59503 -2.38764 6.87684
O 2.26133 -2.35917 -1.96231
H 3.07410 -2.30266 -2.46737
H 2.55726 -1.82680 -1.19500
*
```



--- 3 ---
ORCA calculation (ωB97M-V/def2-TZVPD) on 4 unconnected molecules or ions with the total composition C3H13NO3.

Values from the calculation:
* HOMO-LUMO gap: 0.29915 Ha
* E_HOMO: -8.02 eV
* LUMO energy: 0.116 eV

ORCA input file:
```
! wB97M-V def2-TZVPD RIJCOSX def2/J DEFGRID3
* xyz 0 1
C -0.88837 -1.27071 -0.52172
C -0.75604 -0.11394 -1.14827
C -1.04887 0.29696 -2.51111
N -0.22443 0.94172 -0.36837
H -0.44990 -1.52366 0.36273
H -1.43201 -2.13859 -1.00139
H -0.11526 0.42440 -3.04858
H -1.72676 1.15372 -2.57782
H -1.52130 -0.58589 -2.98433
H 0.32026 1.73211 -0.73146

N -0.76 0.14 -0.83 -0.198
N -1.38 0.74 0.11 0.161
O -0.59 0.62 1.36 -0.210
N 0.68 0.10 0.94 -0.087
H 1.11 -2.13 -0.91 0.257